File >
(1)
The following is a PBE calculation of a relaxed AcNdRuI crystal, from Alexandria.

Summary:
The space group is Cm, No. 8. Its formation energy (no corrections) is -0.630 eV per atom. The volume comes out at 262.8 Å³ per cell. Its uncorrected energy is -44.44 eV per cell. Its size of the total moment is 0.000 μB/f.u. The value obtained for the density of states at the Fermi level is 2.3 states/eV/f.u.

Cell: 7.344 4.231 8.806 Å, 90.00 106.20 90.00°
Positions (direct):
Ac (0.000, 0.000, 0.000)
Ac (0.500, 0.500, 0.000)
Nd (0.211, 0.000, 0.631)
Nd (0.711, 0.500, 0.631)
Ru (0.103, 0.500, 0.809)
Ru (0.603, 0.000, 0.809)
I (0.279, 0.500, 0.334)
I (0.779, 0.000, 0.334)

---

(2)
The following is a PBE calculation of a relaxed AcNdSbI crystal, from Alexandria.

Summary:
The space group is F-43m, No. 216. Its formation energy (no corrections) is -0.998 eV per atom. The volume comes out at 512.9 Å³ per cell. Its uncorrected energy is -74.16 eV per cell. Its size of the total moment is 0.001 μB/f.u. The value obtained for the density of states at the Fermi level is 3.5 states/eV/f.u.

Cell: 8.004 8.004 8.004 Å, 90.00 90.00 90.00°
Positions (direct):
Ac (0.000, 0.000, 0.000)
Ac (0.000, 0.500, 0.500)
Ac (0.500, 0.000, 0.500)
Ac (0.500, 0.500, 0.000)
Nd (0.000, 0.000, 0.500)
Nd (0.000, 0.500, 0.000)
Nd (0.500, 0.000, 0.000)
Nd (0.500, 0.500, 0.500)
Sb (0.250, 0.250, 0.750)
Sb (0.250, 0.750, 0.250)
Sb (0.750, 0.250, 0.250)
Sb (0.750, 0.750, 0.750)
I (0.250, 0.250, 0.250)
I (0.250, 0.750, 0.750)
I (0.750, 0.250, 0.750)
I (0.750, 0.750, 0.250)

---

(3)
The following is a PBE calculation of a relaxed AcNdTe2I crystal, from Alexandria.

Summary:
The space group is P4/nmm, No. 129. Its formation energy (no corrections) is -1.280 eV per atom. The volume comes out at 352.8 Å³ per cell. Its uncorrected energy is -46.22 eV per cell. Its size of the total moment is 0.000 μB/f.u. The value obtained for the density of states at the Fermi level is 2.2 states/eV/f.u.

Cell: 4.763 4.763 15.549 Å, 90.00 90.00 90.00°
Positions (direct):
Ac (0.250, 0.250, 0.093)
Ac (0.750, 0.750, 0.907)
Nd (0.250, 0.250, 0.648)
Nd (0.750, 0.750, 0.352)
Te (0.250, 0.250, 0.304)
Te (0.250, 0.250, 0.872)
Te (0.750, 0.750, 0.128)
Te (0.750, 0.750, 0.696)
I (0.250, 0.750, 0.500)
I (0.750, 0.250, 0.500)

---

(4)
The following is a PBE calculation of a relaxed Ac7NiI12 crystal, from Alexandria.

Summary:
The space group is R-3, No. 148. Its formation energy (no corrections) is -1.273 eV per atom. The volume comes out at 947.6 Å³ per cell. Its uncorrected energy is -78.60 eV per cell. Its size of the total moment is 0.358 μB/f.u. The value obtained for the density of states at the Fermi level is 9.2 states/eV/f.u.

Cell: 10.501 10.501 10.501 Å, 107.62 107.62 107.62°
Positions (direct):
Ac (0.000, 0.000, 0.000)
Ac (0.192, 0.468, 0.390)
Ac (0.390, 0.192, 0.468)
Ac (0.468, 0.390, 0.192)
Ac (0.532, 0.610, 0.808)
Ac (0.610, 0.808, 0.532)
Ac (0.808, 0.532, 0.610)
Ni (0.500, 0.500, 0.500)
I (0.018, 0.106, 0.340)
I (0.106, 0.340, 0.018)
I (0.179, 0.572, 0.722)
I (0.278, 0.821, 0.428)
I (0.340, 0.018, 0.106)
I (0.428, 0.278, 0.821)
I (0.572, 0.722, 0.179)
I (0.660, 0.982, 0.894)
I (0.722, 0.179, 0.572)
I (0.821, 0.428, 0.278)
I (0.894, 0.660, 0.982)
I (0.982, 0.894, 0.660)

---

(5)
The following is a PBE calculation of a relaxed Ac3Ni3I crystal, from Alexandria.

Summary:
The space group is P6_3/m, No. 176. Its formation energy (no corrections) is -0.486 eV per atom. The volume comes out at 399.7 Å³ per cell. Its uncorrected energy is -69.24 eV per cell. Its size of the total moment is 0.000 μB/f.u. The value obtained for the density of states at the Fermi level is 5.0 states/eV/f.u.

Cell: 10.378 10.378 4.285 Å, 90.00 90.00 120.00°
Positions (direct):
Ac (0.065, 0.360, 0.250)
Ac (0.294, 0.935, 0.250)
Ac (0.360, 0.294, 0.750)
Ac (0.640, 0.706, 0.250)
Ac (0.706, 0.065, 0.750)
Ac (0.935, 0.640, 0.750)
Ni (0.023, 0.148, 0.750)
Ni (0.125, 0.977, 0.750)
Ni (0.148, 0.125, 0.250)
Work order >
Find "(0.468, 0.390," and "0.660)" in the listing further up, and write out these two lines and those between.
Done >
Ac (0.468, 0.390, 0.192)
Ac (0.532, 0.610, 0.808)
Ac (0.610, 0.808, 0.532)
Ac (0.808, 0.532, 0.610)
Ni (0.500, 0.500, 0.500)
I (0.018, 0.106, 0.340)
I (0.106, 0.340, 0.018)
I (0.179, 0.572, 0.722)
I (0.278, 0.821, 0.428)
I (0.340, 0.018, 0.106)
I (0.428, 0.278, 0.821)
I (0.572, 0.722, 0.179)
I (0.660, 0.982, 0.894)
I (0.722, 0.179, 0.572)
I (0.821, 0.428, 0.278)
I (0.894, 0.660, 0.982)
I (0.982, 0.894, 0.660)